Page 68 of Lost In Seoul
## Records of crystals, as found in the file
=====
Computed, not measured: a relaxed structure of NaTa3Be at the PBEsol level of DFT.

Density of states at the Fermi level in states/eV/cell: 5.65
Energy of formation in eV/atom: 1.093

```
data_NaTa3Be
_chemical_formula_sum 'Na1 Ta3 Be1'
_cell_length_a 4.4747
_cell_length_b 4.4747
_cell_length_c 4.4747
_cell_angle_alpha 90.00
_cell_angle_beta 90.00
_cell_angle_gamma 90.00
_symmetry_space_group_name_H-M 'P m -3 m'
_symmetry_Int_Tables_number 221
_symmetry_space_group_name_Hall '-P 4 2 3'
loop_
_atom_site_label
_atom_site_type_symbol
_atom_site_fract_x
_atom_site_fract_y
_atom_site_fract_z
Na1 Na 0.0000 0.0000 0.0000
Ta1 Ta 0.0000 0.5000 0.5000
Be1 Be 0.5000 0.5000 0.5000
```


Computed, not measured: a relaxed structure of NaTiBe2 at the PBEsol level of DFT.

Density of states at the Fermi level in states/eV/cell: 9.87
Energy of formation in eV/atom: 0.668

```
data_NaTiBe2
_chemical_formula_sum 'Na4 Ti4 Be8'
_cell_length_a 6.0827
_cell_length_b 6.0827
_cell_length_c 6.0827
_cell_angle_alpha 90.00
_cell_angle_beta 90.00
_cell_angle_gamma 90.00
_symmetry_space_group_name_H-M 'F m -3 m'
_symmetry_Int_Tables_number 225
_symmetry_space_group_name_Hall '-F 4 2 3'
loop_
_atom_site_label
_atom_site_type_symbol
_atom_site_fract_x
_atom_site_fract_y
_atom_site_fract_z
Na1 Na 0.0000 0.0000 0.0000
Ti1 Ti 0.0000 0.0000 0.5000
Be1 Be 0.2500 0.2500 0.2500
```


Computed, not measured: a relaxed structure of NaTiBe3 at the PBEsol level of DFT.

Density of states at the Fermi level in states/eV/cell: 4.60
Energy of formation in eV/atom: 1.433

```
data_NaTiBe3
_chemical_formula_sum 'Na1 Ti1 Be3'
_cell_length_a 4.6770
_cell_length_b 4.6770
_cell_length_c 4.6770
_cell_angle_alpha 90.00
_cell_angle_beta 90.00
_cell_angle_gamma 90.00
_symmetry_space_group_name_H-M 'P m -3 m'
_symmetry_Int_Tables_number 221
_symmetry_space_group_name_Hall '-P 4 2 3'
loop_
_atom_site_label
_atom_site_type_symbol
_atom_site_fract_x
_atom_site_fract_y
_atom_site_fract_z
Na1 Na 0.0000 0.0000 0.0000
Ti1 Ti 0.5000 0.5000 0.5000
Be1 Be 0.0000 0.5000 0.5000
```


Computed, not measured: a relaxed structure of NaTiBe2W at the PBEsol level of DFT.

Density of states at the Fermi level in states/eV/cell: 3.96
Energy of formation in eV/atom: 1.576

```
data_NaTiBe2W
_chemical_formula_sum 'Na1 Ti1 Be2 W1'
_cell_length_a 4.6804
_cell_length_b 4.6804
_cell_length_c 4.4452
_cell_angle_alpha 90.00
_cell_angle_beta 90.00
_cell_angle_gamma 90.00
_symmetry_space_group_name_H-M 'P 4/m m m'
_symmetry_Int_Tables_number 123
_symmetry_space_group_name_Hall '-P 4 2'
loop_
_atom_site_label
_atom_site_type_symbol
_atom_site_fract_x
_atom_site_fract_y
_atom_site_fract_z
Na1 Na 0.0000 0.0000 0.0000
Ti1 Ti 0.5000 0.5000 0.5000
Be1 Be 0.0000 0.5000 0.5000
W1 W 0.5000 0.5000 0.0000
```


Computed, not measured: a relaxed structure of NaBeTl2 at the PBEsol level of DFT.

Density of states at the Fermi level in states/eV/cell: 5.76
Energy of formation in eV/atom: 0.321

```
data_NaBeTl2
=====
I clench my hands, my fingers digging into my palms when he leans in and flirts with her. Why is his face so close? Is that really necessary?
Viewership has soared for the show, to the point it’s number one on the network for the last three days and climbing. Pre-orders for both groups’ albums have skyrocketed past three million—no small feat for either of them.
I should be proud.
# Data records from another source follow
(1)
A plane-wave DFT calculation with PBE-GGA was carried out for crystalline Np2GeH3 at its relaxed geometry.

The structure belongs to space group Immm (No. 71); the cell edges are 3.990, 6.249 and 12.075 Å and the angles 90.00°, 90.00° and 90.00°. The distinct sites, in fractional coordinates, are Np at (0.000, 0.000, 0.179), Np at (0.000, 0.208, 0.500), Ge at (0.000, 0.500, 0.140), H at (0.000, 0.149, 0.000) and H at (0.000, 0.310, 0.320).

The density of states at the Fermi level is 9.09 states/eV/f.u. As for the crystal system: orthorhombic. As for the total energy: -165.6 eV for the cell shown.

---

(2)
A plane-wave DFT calculation with PBE-GGA was carried out for crystalline Dy8Er6Pu at its relaxed geometry.

The structure belongs to space group R-3 (No. 148, hexagonal axes); the cell edges are 8.9460, 8.9460 and 20.2414 Å and the angles 90.00°, 90.00° and 120.00°. The distinct sites, in fractional coordinates, are Dy at (0.0000, 0.0000, 0.0765), Dy at (0.0825, 0.5578, 0.3064), Er at (0.0694, 0.2515, 0.2061) and Pu at (0.0000, 0.0000, 0.5000).

The density of states at the Fermi level is 20.90 states/eV/f.u. As for the crystal system: trigonal. As for the calculated formation energy: 0.12 eV/atom. As for the total energy: -230.3 eV for the cell shown.

---

(3)
A plane-wave DFT calculation with PBE-GGA was carried out for crystalline BeCdP2 at its relaxed geometry.

The structure belongs to space group C2/m (No. 12); the cell edges are 6.728, 3.380 and 6.271 Å and the angles 90.00°, 110.03° and 90.00°. The distinct sites, in fractional coordinates, are Be at (0.000, 0.000, 0.000), Cd at (0.000, 0.500, 0.500) and P at (0.235, 0.000, 0.837).

The density of states at the Fermi level is 0.94 states/eV/f.u. As for the crystal system: monoclinic. As for the calculated formation energy: 0.18 eV/atom. As for the energy above the most stable polymorph in this dataset: 0.107 eV/atom. As for the total energy: -29.5 eV for the cell shown.

---

(4)
A plane-wave DFT calculation with PBE-GGA was carried out for crystalline PmMn9Si4 at its relaxed geometry.

The structure belongs to space group I4/mcm (No. 140); the cell edges are 7.861, 7.861 and 11.654 Å and the angles 90.00°, 90.00° and 90.00°. The distinct sites, in fractional coordinates, are Pm at (0.000, 0.000, 0.250), Mn at (0.000, 0.500, 0.000), Mn at (0.058, 0.191, 0.000), Mn at (0.119, 0.381, 0.176) and Si at (0.176, 0.324, 0.378).

The density of states at the Fermi level is 11.60 states/eV/f.u. As for the uncorrected formation energy: -0.38 eV per atom. As for the crystal system: tetragonal. As for the total energy: -457.3 eV for the cell shown.
I should ignore the fact that he looks ready to kiss her while they’re on a date, he’d at one point suggested we do in secret. One I turned him down on. One I told him I couldn’t do.
It sounds stupid, that I’d be upset he took her hiking and for a picnic. And the little shit keeps tripping and clinging to his arm. If she asks him about working out one more time, I’m going to scream.
“So,” His ex Iseul stumbles next to him. “Would you ever date a fan in real life?”
He smiles down at her looking every part sexy, his hairs just the right amount of length near his shoulders, messy with added red highlights in it, his eyes search hers like he’s the hesitant lead on this own K Drama, then smiles slowly. “I think anything’s possible.”
“Just like it’s possible for your heart to swoon?” She jokes.
“Does that mean yours is?” He says so smooth and fast I’m sputtering in my head and malfunctioning.
And that, folks is what has every fan screaming, the other guys are killing it too, don’t get me wrong, but nobody’s seen Sookie in this light before, he’s not just a flirt, he’s downright dangerous to someone’s health even with being on the brink of cancelation. I would know. And when I told him to play into it, this was not really what I had in mind.
She keeps walking without looking where she’s going and trips again, this time stumbling onto a rock. He catches her… was that in slow motion? It felt like it was slow motion.
The makeup artist next to me grabs a random leaf and starts fanning herself with it.
She literally plucked it from the tree next to her like she’s in some sort of romantic scene and needed something to remember this moment by.
Production is completely engrossed, including Director Simon, they don’t cut, shouldn’t they be cutting? Shouldn’t we get medics in there? What if she’s bleeding? Did she hit her head?
Sookie sets her down on the same rock and takes off his baggy black sweatshirt revealing nothing but a black tank top that leaves no muscle without any screen time, and since he was wearing a sweatshirt, his sleeve is now completely on display, including the tattoos I took him to get.
My tattoos.
She sucks in a sharp breath.
So does the makeup artist next to me—we were under strict instructions to keep his image innocent! Nothing about this screams innocence.
The makeup artist next to me grabs hold to the tree trunk, a few other women on set have their phones strategically out.
I stomp over to grab them when Sookie cups her face with his hands. “Are you okay?”
How does a person flex while cupping someone’s face?
She nods, her lips part.
He wouldn’t dare.
He wouldn’t go that far.
I can’t breathe.
I think everyone around me is too stunned to move, it’s like we’re in a parallel universe, my life is going to be complete hell now, I’m going to have to deal with all of this shit! Because he just wants to piss me off and make me jealous.
Why am I always making it about me?
All he’d said yesterday was, “Oh you want me to fully commit? Do my job?” He gave me a slight shove. “As per my contract? Really participate and bring in ratings…” He lowered his voice and whispered next to me. “Fucking watch me.”